Friday, January 21, 2011

Fascinating documentary about the dawn of television ...

(What comes next are quantum chemistry results, not part of the piece)
~~~
Entry 1:
Molecular formula: C52H46BaBrN9O
Method: DFT, wB97M-V/def2-TZVPD

lowest unoccupied orbital energy	-0.120	eV
E	-5176.8914	a.u.
energy relative to the best compared isomer or geometry (same formula, charge and spin)	106.00	kJ/mol
Kohn-Sham gap	6.9	eV
F_max	0.5	eV/A

Geometry as ORCA input:
```
! wB97M-V def2-TZVPD RIJCOSX def2/J DEFGRID3
* xyz 0 1
Ba 0.486 -0.201 -1.641
Br 1.242 6.756 -4.807
O 1.971 1.725 -1.599
N 2.345 -2.739 -3.652
N 0.117 -2.261 -4.113
N -1.586 2.681 -1.585
N 0.836 -1.273 1.140
N -0.988 0.874 1.351
N -2.495 -0.857 -1.555
N -2.078 -1.626 -3.705
N -0.549 1.373 -3.885
N 2.946 -1.814 -1.602
C 1.908 -4.931 4.599
C -1.052 -2.344 -3.408
C 2.712 4.525 -3.785
C -0.648 2.609 3.546
C 1.134 -2.782 3.512
C -4.725 -0.705 -0.696
C -0.671 2.806 6.037
C -0.062 0.818 -4.963
C 0.446 -0.789 2.328
C -3.358 -0.550 -0.582
C -0.385 3.542 4.721
C 0.646 3.577 -2.211
C 0.988 -4.581 -1.397
C -5.233 -1.185 -1.900
C 4.576 -3.081 -2.835
C 3.265 -2.584 -2.667
C 1.551 -3.264 2.283
C -0.378 2.999 -1.332
C 0.473 -3.606 -2.234
C 3.913 -1.508 -0.725
C 1.488 5.188 -3.760
C 1.387 -2.484 1.149
C -3.339 3.312 -5.369
C -1.618 2.211 -4.019
C -2.989 -1.350 -2.703
C -2.134 2.879 -2.870
C 1.862 2.855 -2.238
C 0.452 4.719 -2.980
C -1.658 2.019 1.450
C -1.527 2.902 2.514
C 2.900 3.383 -3.035
C -3.236 3.684 -2.996
C -3.836 3.911 -4.249
C -0.870 -3.267 -2.225
C -0.188 0.554 2.372
C 2.077 -2.770 5.819
C 1.244 -3.571 4.810
C -1.662 1.816 -6.408
C 0.115 -5.196 -0.511
C 5.538 -2.767 -1.909
C 1.091 3.966 4.680
C -0.168 -3.794 5.372
C -1.258 4.794 4.665
C 1.080 -2.859 -3.390
C -1.231 -4.836 -0.473
C -4.363 -1.502 -2.919
C -1.743 -3.872 -1.332
C 5.212 -1.948 -0.823
C -2.222 2.451 -5.273
C -0.576 1.013 -6.262
C 0.023 1.391 3.456
C 0.573 -1.507 3.508
H -0.673 -2.850 5.575
H -1.040 5.426 5.526
H -2.911 -0.163 0.325
H -2.103 3.815 2.502
H 2.003 -4.240 2.176
H -2.298 2.262 0.610
H 0.202 -1.062 4.421
H 2.922 -4.828 4.209
H 3.514 4.908 -4.403
H -0.111 -4.356 6.306
H -2.796 -3.623 -1.308
H -0.780 -4.360 4.668
H -3.632 4.161 -2.109
H 1.316 4.493 3.751
H -0.498 5.238 -2.960
H 4.790 -3.687 -3.703
H -0.035 1.928 6.160
H -2.112 1.988 -7.379
H 3.614 -0.857 0.091
H 3.085 -2.594 5.438
H 1.335 -5.558 3.914
H 1.726 -2.851 0.192
H -0.483 3.473 6.880
H 1.756 3.104 4.746
H -1.893 -5.330 0.227
H -0.115 0.505 -7.096
H 2.157 -3.323 6.756
H -6.300 -1.309 -2.036
H 0.476 -5.969 0.157
H -0.029 2.766 -0.325
H 1.312 4.632 5.516
H 5.949 -1.651 -0.091
H 0.729 1.088 4.218
H -1.712 2.481 6.083
H 0.781 0.145 -4.838
H 6.548 -3.139 -2.030
H 1.969 -5.456 5.554
H -2.320 4.545 4.693
H -1.062 5.381 3.766
H -5.374 -0.438 0.126
H 2.034 -4.858 -1.445
H 3.844 2.853 -3.064
H -3.785 3.485 -6.340
H -4.693 4.569 -4.314
H -4.703 -1.874 -3.874
H 1.625 -1.803 6.040
*
```

Entry 2:
Molecular formula: C52H46BrCsN8OPSi
Method: DFT, wB97M-V/def2-TZVPD

lowest unoccupied orbital energy	1.602	eV
E	-5747.4676	a.u.
energy relative to the best compared isomer or geometry (same formula, charge and spin)	0.00	kJ/mol
~~~

Monday, January 17, 2011


I didn't get a job I wanted. That's worse than actually getting a job you don't want, in the long run, at least, in the short run such a thing is good but it ultimately wears on you, especially if you're talking one bad job after another, and another and another ... of course, this is what I'm back to hoping for, another series of bad jobs so I can keep it all together, whatever it is. Gotta say, though, in Michigan's economy it's always exciting to see a good job open up, downright ecstatic to get an interview, and ultimately that much harder to take when it doesn't happen, even if you never expected it to in the first place ... thanks anyways, guys.

The Great Tribulation is all I talk about here anymore, because it's the brightest spotlight on my personal horizon. We had another great night last Saturday, did the Lagerhaus with Scarlet Oaks and Doop & the Inside Outlaws. I miss Noelle on drums, but ScarOak's new lineup kept all the pieces together otherwise, and I finally understand everyone's collective boner over the Inside Outlaws (Doop's cool, but this is clearly Katie Grace's band right now). We made twice as much dough as I expected, got just drunk enough, and at some point we'll have some live video/sound/photos from my pal Jason too, although his old lady has a new boy coming any second now, so we might have to wade through some postpartum excitement to get our results. We sounded good, it was our last gig with pedal steeler Paul Delamater and while I had the usual difficulties battling this newfangled electronic guitar technology, I know for a fact we blew a few minds. Don't forget, we're looking for a lapsteel player and/or organist, so if you got a lead or a pitch, please let us know at At the end of the month we go to Backseat Studio to record more new compositions for a projected full-length release of some kind, so you can expect more feminist diatribes, Satanic screeds and re-written outlaw country ballads sometime in the very very near future ...

Speaking of Backseat, I've started some further End Times recordings there with my new ginger-domed pal Brook ... he's helming the eventually-upcoming single, which I hope to have finished within another month (finances willing). Thanks to Jennifer, John and Cory for filling in the spaces between signature licks ... if it all works, the spring should see at least one End Times recital in the mid-Michigan area plus a new vinyl release. Don't quote me yet, but still, that's the target.


Monday, January 3, 2011

____________
1.
Here is a molecular structure, C50H54N6PbSSb2Se2 from the OMol25 dataset. Energies are from wB97M-V/def2-TZVPD.

Results
- E: -221483.1864 eV
- LUMO level: -10.62 eV
- Kohn-Sham gap: 6.6 eV
- Charge: +4

Positions of all 116 atoms, in Å:
Pb  -1.820  0.491  -0.194
C  -1.720  1.002  -3.826
N  -1.438  -0.149  -2.963
C  -2.145  -1.381  -3.332
C  -2.988  -1.921  -2.223
N  -2.846  -1.645  -0.941
C  -3.759  -2.488  -0.277
C  -3.985  -2.703  1.081
C  -4.916  -3.658  1.433
C  -5.614  -4.399  0.465
C  -5.383  -4.217  -0.882
C  -4.437  -3.255  -1.221
N  -3.921  -2.860  -2.448
C  -2.394  2.116  -3.089
N  -2.623  2.150  -1.792
C  -3.215  3.402  -1.542
C  -3.632  4.003  -0.356
C  -4.177  5.269  -0.436
C  -4.311  5.937  -1.664
C  -3.891  5.360  -2.845
C  -3.339  4.088  -2.749
N  -2.802  3.236  -3.708
H  -2.341  0.711  -4.676
H  -0.793  1.388  -4.256
H  -0.445  -0.333  -2.984
H  -1.428  -2.158  -3.613
H  -2.775  -1.220  -4.209
H  -3.439  -2.141  1.826
H  -5.119  -3.849  2.479
H  -6.340  -5.134  0.784
H  -5.907  -4.797  -1.630
H  -4.189  -3.222  -3.351
H  -3.525  3.504  0.597
H  -4.517  5.763  0.465
H  -4.750  6.924  -1.683
H  -3.992  5.873  -3.792
H  -2.773  3.407  -4.702
C  -5.831  1.718  0.629
Se  -4.362  0.617  1.275
C  -3.776  1.620  2.862
C  -3.208  0.659  3.888
Se  -1.692  -0.412  3.232
C  -2.096  -2.009  4.273
H  -5.577  2.770  0.618
H  -6.677  1.523  1.283
H  -6.059  1.374  -0.378
H  -4.672  2.096  3.261
H  -3.065  2.392  2.573
H  -3.966  -0.066  4.181
H  -2.883  1.201  4.775
H  -3.057  -2.428  3.984
H  -2.099  -1.745  5.327
H  -1.307  -2.735  4.090
C  2.385  -1.892  2.380
C  3.360  -0.852  2.921
C  3.091  0.542  2.344
Sb  3.385  0.557  0.231
C  2.245  2.049  -0.689
C  1.736  1.902  -1.978
C  1.173  3.002  -2.610
C  1.135  4.235  -1.970
C  1.653  4.375  -0.690
C  2.210  3.281  -0.043
C  5.401  0.919  -0.150
C  6.390  0.255  0.574
C  7.705  0.666  0.433
C  8.021  1.717  -0.422
C  7.029  2.364  -1.146
C  5.706  1.968  -1.015
Sb  2.630  -2.150  0.275
C  4.492  -3.036  -0.045
C  5.382  -2.519  -0.982
C  6.604  -3.150  -1.169
C  6.921  -4.282  -0.429
C  6.021  -4.800  0.495
C  4.794  -4.185  0.687
C  1.088  -3.425  -0.331
C  -0.144  -3.432  0.317
C  -1.013  -4.486  0.070
C  -0.659  -5.492  -0.821
C  0.564  -5.459  -1.480
C  1.449  -4.419  -1.239
H  1.351  -1.579  2.552
H  2.515  -2.882  2.818
H  4.393  -1.162  2.740
H  3.251  -0.795  4.006
H  3.753  1.302  2.758
H  2.054  0.847  2.501
H  1.818  0.957  -2.504
H  0.803  2.916  -3.623
H  0.724  5.096  -2.480
H  1.639  5.338  -0.198
H  2.618  3.407  0.954
H  6.158  -0.578  1.227
H  8.485  0.167  0.992
H  9.051  2.031  -0.524
H  7.283  3.176  -1.813
H  4.934  2.476  -1.582
H  5.140  -1.644  -1.575
H  7.303  -2.761  -1.896
H  7.874  -4.772  -0.580
H  6.272  -5.687  1.061
H  4.093  -4.606  1.400
H  -0.426  -2.655  1.021
H  -1.965  -4.527  0.582
H  -1.338  -6.317  -0.994
H  0.838  -6.249  -2.166
H  2.415  -4.409  -1.732
S  -0.105  4.239  3.897
C  -0.727  4.723  2.385
C  -0.802  3.650  1.554
____________

PS. The Great Tribulation is establishing a new internet presence. Look at it.